Chapter 2102: Swear as much as you can!

Chapter 2102 Swear as much as you can!

I saw Feng Qingwu raised her hand and swore to the sky: "I swear, if what I just said is half a lie, I will be thrown into the wilderness and lose everything I have now."

Gu Xiaonan frowned: "This is different from what I just said."

_Data records that have nothing to do with the piece_
********
No. 1
13
Properties=species:S:1:pos:R:3:forces:R:3 method="wB97M-V/def2-TZVPD" e_tot_ev=-21987.6970 homo_energy_ha=-0.3448 de_lowest_kj_mol=99.4 charge=0 orbital_gap_ha=0.3695
C 0.041 -0.662 -0.078 0.201 0.006 -0.436
C 0.060 0.731 0.483 0.377 -0.603 -0.196
C 0.171 1.883 -0.166 -0.588 -0.582 1.152
C -1.313 -1.267 -0.263 -0.605 0.089 -0.642
H 2.493 0.209 0.531 -0.246 0.596 0.214
H -0.026 0.706 1.552 0.104 0.262 0.539
H 0.164 2.796 0.406 0.061 0.217 0.012
H 0.107 1.953 -1.214 0.303 0.022 -1.168
H -1.331 -2.297 -0.703 0.133 0.989 0.182
N 1.006 -1.443 -0.354 0.643 0.876 0.383
F -1.945 -1.286 0.926 -0.267 -0.385 0.916
F -2.056 -0.382 -1.009 0.048 -0.461 -0.482
S 2.628 -0.939 -0.112 -0.164 -1.025 -0.473

No. 2
12
Properties=species:S:1:pos:R:3:forces:R:3 method="wB97M-V/def2-TZVPD" e_tot_ev=-12374.1991 spin_multiplicity=3 homo_energy_ha="-0.1883 / -0.4112" de_lowest_kj_mol=136.0 s_squared=2.008 charge=0 orbital_gap_ha="0.2212 / 0.3234"
C -1.652 0.156 -0.469 -5.629 5.480 -11.557
C -1.045 -0.332 0.548 10.761 -4.444 11.848
C 1.300 0.198 -0.616 1.544 -2.583 0.634
C 0.720 -0.159 0.684 -4.594 -1.952 2.818
F -2.974 0.033 -0.620 0.040 0.083 0.185
F -1.595 -1.048 1.556 -0.018 0.177 -1.262
F 0.953 0.848 1.626 0.122 0.474 -0.244
H -1.077 0.583 -1.338 -1.157 -0.800 0.851
H 0.814 -0.395 -1.365 -0.233 0.077 -0.806
H 1.182 1.213 -0.657 -0.482 2.650 -0.933
H 2.374 -0.020 -0.659 -0.207 0.039 0.097
H 1.003 -1.075 1.308 -0.147 0.799 -1.631

No. 3
13
Properties=species:S:1:pos:R:3:forces:R:3 method="wB97M-V/def2-TZVPD" e_tot_ev=-23215.3198 homo_energy_ha=-0.3359 de_lowest_kj_mol=55.1 smiles="C[C@H](C=S)C(F)(F)F" charge=0 orbital_gap_ha=0.3126
C -1.529 -0.991 -0.751 -0.374 4.559 3.231
C 0.630 0.149 0.380 1.865 -0.949 1.245
C -0.690 0.447 -0.289 -3.048 -0.775 -0.668
C -0.456 1.386 -1.495 -1.699 -0.599 0.440
F 0.194 2.507 -1.224 0.007 0.838 0.877
F -1.691 1.764 -1.990 1.119 -0.443 -0.057
F 0.277 0.823 -2.428 0.128 -0.982 -1.395
S -2.905 -1.433 -0.041 1.039 0.014 -0.671
H -0.962 -1.382 -1.499 1.097 -1.937 -2.163
H 1.205 -0.839 0.076 -1.649 1.759 0.263
H 1.289 0.966 -0.039 -0.133 -0.842 1.477
H 0.557 0.080 1.561 0.247 0.552 -2.572
H -1.477 1.074 0.264 1.401 -1.194 -0.006
********

"When you arrive at the Great Desolate Realm and fall into the territory of the demons, will you still have a chance to survive? It's almost the same as destroying your cultivation base, dying a bad death, and losing your soul."

The people watching around nodded unconsciously.

It is rumored that the demons are cruel and tyrannical by nature, and they regard other living beings as nourishment.

Once entering the Great Wilderness, it is indeed the same as being dead.

Moreover, the demons even eat their souls, isn't it just "unfortunate death, the souls fly away"!

Gu Xiaonan felt that the other party's statement was not right. If there was no problem, the other party would not deliberately change the oath he asked for.

Gu Xiaonan asked her to say it again according to her oath.

Feng Qingwu said righteously: "Enough! Don't think that you can make trouble without reason just because you are a child! You want me to swear, and I have already made it. If you do this again, don't blame me for being rude!"

Gu Xiaonan was not frightened by her intimidation at all, and said loudly: "You are lying! You refuse to swear according to the oath I said, which proves that you have ghosts in your heart! Besides, you may not die if you enter the wilderness, my mother You must be alive, you are obviously afraid of death so you dare not swear as I said."

Feng Qingwu stared at him sharply: "Oh, you won't die if you go to Dahuangjing. Could it be that the demons are not willing to kill her? This is clearly collusion with the demons!"

Immediately afterwards, she turned her head to look at Head Song, and said very quickly: "Master Song, listen to what he said, he is so sure that his mother is still alive, isn't it because he has something to do with the demons?"

It has to be said that Feng Qingwu has a strong adaptability, and she actually caught the pigtails in Gu Xiaonan's words.

Gu Xiaonan was annoyed in his heart, he should have thought twice before saying it.

Regret is useless right now, but Gu Xiaonan didn't panic: "My mother is so powerful, she will come back naturally, I believe her! Don't change the subject, if you don't swear according to what I said, you dare not, you are guilty!"

"You guys are colluding..."

"Okay, stop arguing!" Taoist Qingfeng interrupted them.

Although Taoist Qingfeng left just now, he didn't go far.

The ruins of the Wanshoumen Gate are huge, and there are countless mysterious beasts staring at it outside. It takes a lot of effort for him to go out by himself.

Moreover, since he is here, he will not leave before the matter is resolved.

Anyway, this kid still suits his eyes, how can he see these so-called decent families in Tianji Continent ganging up to bully the little guy.

"As an adult, you have the guts to bully a child, are you ashamed?" Qingfeng Taoist pointed at Feng Qingwu's nose and cursed.

A haze flashed across Feng Qingwu's eyes.

Smelly Taoist mind your own business!

She opened her mouth, about to argue.

Taoist Qingfeng has already turned his finger on other people.

He pointed to the head of Song and the heads of other major sects: "And you, don't even have the ability to judge right from wrong, do your eyes grow white on your face? If you dislike the uselessness of eyes, you can Dig it out, there is no need to grow it on your face to make people look ugly."

The masters of various sects were scolded until their faces turned livid.

"Taoist Qingfeng, we respect you, but that doesn't mean you can..." Master Song said with suppressed anger.

Just before he finished speaking, he was interrupted by Taoist Qingfeng: "When did you respect the old Taoist? Do you listen to the old Taoist? It's really shameless to say one thing and do another!"

People from all sects were furious at his words, and their faces turned red.

The words of Taoist Master Qingfeng were too harsh.

Master Song couldn't help but turn up the volume: "Taoist Qingfeng, enough is enough!"

Daoist Qingfeng asked with a smile on his face, "Stop what? You can't bear it after just a few words? Why don't you think about whether others will feel uncomfortable when you talk about others? Why don't you know when you slander others? You bully a child, you are really awesome!"

Not to mention a person with a bad temper, even a person with a good temper will be driven out of his body by his anger.

Gu Xiaonan has long seen the power of Taoist Qingfeng's mouth. It is a posture that can be justified by him without reason, let alone when it is reasonable, it is really unreasonable.

Seeing a group of well-known and decent masters being half-dead by him, but still wanting to maintain their own demeanor and personality, Gu Xiaonan was very happy in his heart.


Tell them to be suspicious of mother, and want to seal the passage of mother's return!

Taoist Qingfeng scolded well!

Swear as much as you can!

(end of this chapter)